**File**
'''
{
  "formula": "C28H34Cl6N4PdSbSe",
  "method": "ωB97M-V/def2-TZVPD",
  "symbols": ["Pd", "Cl", "C", "C", "C", "Cl", "C", "Cl", "C", "Cl", "C", "Cl", "C", "C", "C", "C", "Sb", "C", "C", "C", "C", "C", "C", "C", "C", "H", "H", "H", "H", "H", "H", "H", "H", "H", "H", "H", "H", "H", "H", "H", "H", "H", "H", "H", "H", "H", "H", "H", "H", "H", "H", "H", "Se", "N", "C", "C", "C", "C", "N", "C", "N", "H", "H", "H", "Cl", "C", "C", "C", "C", "N", "C", "H", "H", "H", "H"],
  "positions_angstrom": [[-1.16, 4.79, -0.01], [-4.33, 4.43, 0.45], [-3.48, 3.01, -0.04], [-2.11, 3.07, -0.21], [-1.47, 1.92, -0.65], [0.28, 2.04, -0.87], [-2.14, 0.74, -0.93], [-1.32, -0.63, -1.54], [-3.52, 0.69, -0.72], [-4.38, -0.75, -1.03], [-4.20, 1.83, -0.27], [-5.88, 1.78, -0.02], [6.93, -19.30, -2.36], [6.60, -19.44, -0.95], [5.25, -19.80, -0.55], [7.65, -19.34, 0.05], [1.81, -0.15, -0.17], [1.37, 0.14, 1.93], [-0.13, -0.15, 2.05], [1.70, 1.51, 2.51], [2.15, -0.95, 2.67], [3.54, 1.07, -0.64], [4.58, 0.37, 0.25], [3.49, 2.56, -0.37], [3.86, 0.81, -2.11], [6.96, -20.34, -2.74], [7.90, -18.85, -2.55], [6.12, -18.82, -2.92], [5.30, -20.88, -0.32], [4.50, -19.66, -1.32], [4.97, -19.33, 0.40], [8.22, -20.28, -0.04], [7.29, -19.27, 1.07], [8.38, -18.56, -0.19], [-0.74, 0.61, 1.55], [-0.41, -0.15, 3.11], [-0.40, -1.12, 1.64], [1.25, 2.33, 1.95], [2.78, 1.69, 2.55], [1.33, 1.57, 3.54], [1.94, -1.95, 2.27], [1.83, -0.96, 3.71], [3.23, -0.79, 2.65], [4.48, 0.67, 1.30], [5.58, 0.64, -0.08], [4.53, -0.73, 0.20], [3.18, 2.81, 0.65], [2.83, 3.08, -1.07], [4.49, 2.98, -0.52], [3.96, -0.26, -2.34], [4.82, 1.28, -2.36], [3.11, 1.23, -2.78], [-0.96, 5.09, -3.83], [-0.20, 6.64, -4.11], [0.08, 7.20, -2.94], [0.69, 8.46, -2.68], [0.86, 8.80, -1.37], [0.44, 7.93, -0.31], [-0.12, 6.76, -0.51], [-0.28, 6.41, -1.82], [-0.83, 5.24, -2.06], [0.99, 9.11, -3.49], [1.31, 9.74, -1.10], [0.58, 8.24, 0.71], [-1.44, 2.15, 5.01], [-1.56, 3.62, 4.11], [-1.88, 4.81, 4.74], [-1.97, 5.95, 3.96], [-1.73, 5.87, 2.61], [-1.42, 4.71, 2.01], [-1.34, 3.60, 2.75], [-2.06, 4.84, 5.81], [-2.22, 6.91, 4.41], [-1.80, 6.74, 1.96], [-1.10, 2.67, 2.24]],
  "e_tot_ev": -186021.384,
  "e_lumo_ev": -7.57,
  "de_lowest_kcal_mol": 0.0,
  "homo_lumo_gap_ev": 7.23,
  "homo_energy_ev": -14.79,
  "charge": 3
}

{
  "formula": "C28H34F6N3O3",
  "method": "ωB97M-V/def2-TZVPD",
  "symbols": ["C", "C", "O", "C", "C", "C", "N", "C", "C", "O", "C", "C", "O", "H", "H", "H", "H", "H", "H", "H", "H", "H", "H", "H", "H", "H", "H", "H", "C", "N", "C", "C", "F", "F", "F", "C", "C", "C", "C", "C", "C", "C", "C", "C", "N", "C", "C", "C", "F", "F", "F", "C", "C", "C", "C", "H", "H", "H", "H", "H", "H", "H", "H", "H", "H", "H", "H", "H", "H", "H", "H", "H", "H", "H"],
'''

**What to do**
The reader should repeat only the last part of the rows further up, starting with the line that has "-14.79,".

**Written answer**
  "homo_energy_ev": -14.79,
  "charge": 3
}

{
  "formula": "C28H34F6N3O3",
  "method": "ωB97M-V/def2-TZVPD",
  "symbols": ["C", "C", "O", "C", "C", "C", "N", "C", "C", "O", "C", "C", "O", "H", "H", "H", "H", "H", "H", "H", "H", "H", "H", "H", "H", "H", "H", "H", "C", "N", "C", "C", "F", "F", "F", "C", "C", "C", "C", "C", "C", "C", "C", "C", "N", "C", "C", "C", "F", "F", "F", "C", "C", "C", "C", "H", "H", "H", "H", "H", "H", "H", "H", "H", "H", "H", "H", "H", "H", "H", "H", "H", "H", "H"],